## Work order
Copy the calculation results below character by character.
## Contents
/*
{"formula": "C78H192N12O17", "method": "ωB97M-V/def2-TZVPD", "elements": ["C", "C", "C", "O", "C", "N", "H", "H", "H", "H", "H", "H", "H", "H", "H", "H", "H", "C", "C", "C", "O", "C", "N", "H", "H", "H", "H", "H", "H", "H", "H", "H", "H", "H", "C", "C", "C", "O", "C", "N", "H", "H", "H", "H", "H", "H", "H", "H", "H", "H", "H", "C", "C", "C", "O", "C", "N", "H", "H", "H", "H", "H", "H", "H", "H", "H", "H", "H", "C", "C", "C", "O", "C", "N", "H", "H", "H", "H", "H", "H", "H", "H", "H", "H", "H", "C", "C", "C", "O", "C", "N", "H", "H", "H", "H", "H", "H", "H", "H", "H", "H", "H", "C", "C", "C", "O", "C", "N", "H", "H", "H", "H", "H", "H", "H", "H", "H", "H", "H", "C", "C", "C", "C", "C", "C", "N", "O", "C", "C", "C", "H", "H", "H", "H", "H", "H", "H", "H", "H", "H", "H", "H", "H", "H", "H", "H", "H", "H", "H", "C", "C", "C", "C", "C", "C", "N", "O", "C", "C", "C", "H", "H", "H", "H", "H", "H", "H", "H", "H", "H", "H", "H", "H", "H", "H", "H", "H", "H", "H", "C", "C", "C", "C", "C", "C", "N", "O", "C", "C", "C", "H", "H", "H", "H", "H", "H", "H", "H", "H", "H", "H", "H", "H", "H", "H", "H", "H", "H", "H", "C", "C", "C", "C", "C", "C", "N", "O", "C", "C", "C", "H", "H", "H", "H", "H", "H", "H", "H", "H", "H", "H", "H", "H", "H", "H", "H", "H", "H", "H", "C", "C", "C", "C", "C", "C", "N", "O", "C", "C", "C", "H", "H", "H", "H", "H", "H", "H", "H", "H", "H", "H", "H", "H", "H", "H", "H", "H", "H", "H", "C", "O", "H", "H", "H", "H", "C", "O", "H", "H", "H", "H", "C", "O", "H", "H", "H", "H", "C", "O", "H", "H", "H", "H", "C", "O", "H", "H", "H", "H"], "positions_angstrom": [[-23.30765, -21.59616, -2.39755], [-24.03962, -22.91840, -2.41215], [-23.14324, -24.07153, -1.91840], [-22.04295, -24.45117, -2.71465], [-22.39775, -24.94892, -3.98095], [-25.23019, -22.72480, -1.59055], [-23.91948, -20.83882, -2.91194], [-22.37050, -21.65462, -2.95219], [-23.08885, -21.35516, -1.35451], [-24.47115, -23.22181, -3.37293], [-23.81648, -24.89717, -1.67953], [-22.68076, -23.79143, -0.96786], [-21.48454, -25.42290, -4.31139], [-22.72244, -24.18025, -4.65822], [-23.18755, -25.68048, -3.76227], [-24.99086, -22.59940, -0.62182], [-25.89529, -23.45736, -1.75517], [-21.41726, -23.34915, 1.47339], [-20.81823, -22.22517, 2.32662], [-21.16258, -20.83769, 1.81594], [-20.74163, -20.82388, 0.44523], [-20.80118, -19.50404, -0.10048], [-21.51933, -22.26555, 3.58882], [-21.21354, -24.35545, 1.83118], [-20.99859, -23.29293, 0.46878], [-22.49273, -23.35060, 1.47152], [-19.75340, -22.42130, 2.39217], [-20.65334, -20.02620, 2.36280], [-22.25058, -20.67287, 1.86384], [-20.09184, -18.88463, 0.44971], [-21.80526, -19.10747, 0.07574], [-20.50827, -19.60707, -1.13869], [-21.10634, -21.60480, 4.24058], [-21.34808, -23.14297, 4.02695], [-29.07867, -22.87596, -2.10734], [-28.64237, -21.95718, -3.19997], [-28.50226, -20.52800, -2.72197], [-29.62979, -19.99005, -1.97905], [-30.66355, -19.42778, -2.84888], [-27.44214, -22.50889, -3.81083], [-29.16147, -23.91037, -2.48832], [-30.09519, -22.55805, -1.79613], [-28.44645, -22.90504, -1.19646], [-29.39029, -21.90204, -4.00415], [-28.11464, -19.94082, -3.56522], [-27.68862, -20.58428, -1.99476], [-31.43322, -19.07927, -2.18126], [-30.96336, -20.21999, -3.50115], [-30.20436, -18.59824, -3.40579], [-26.73086, -22.51727, -3.08650], [-27.10208, -21.97799, -4.60754], [-18.93395, -15.70403, 5.11763], [-20.36029, -16.06529, 5.63896], [-20.95698, -17.30978, 4.88510], [-22.28901, -17.45644, 5.38272], [-22.89901, -18.56993, 4.76835], [-20.20200, -16.51008, 7.02578], [-18.99736, -15.42533, 4.06837], [-18.36403, -16.61390, 5.28420], [-18.39200, -14.92992, 5.66009], [-20.95703, -15.17787, 5.62654], [-20.44804, -18.21739, 5.17042], [-20.94850, -17.17747, 3.78553], [-23.84980, -18.86655, 5.18901], [-22.24122, -19.42892, 4.69215], [-23.17187, -18.37488, 3.74296], [-21.08093, -16.87936, 7.39849], [-19.88599, -15.82873, 7.67501], [-27.37264, -19.88636, 1.19478], [-25.88866, -19.84230, 0.91024], [-25.32275, -18.46334, 1.27842], [-23.98125, -18.39485, 0.89815], [-23.40844, -17.15111, 1.15678], [-25.26816, -20.98066, 1.55047], [-27.91860, -19.02780, 0.79577], [-27.57218, -19.95286, 2.28026], [-27.83775, -20.79123, 0.78425], [-25.77982, -20.02943, -0.18172], [-25.42890, -18.23892, 2.36155], [-25.81565, -17.66657, 0.73960], [-23.99094, -16.30301, 0.75775], [-22.39824, -17.11131, 0.73069], [-23.40514, -17.01022, 2.24686], [-24.27942, -21.00296, 1.32431], [-25.28281, -20.81889, 2.55384], [-26.73121, -18.88036, 6.07317], [-28.12021, -19.31466, 5.66225], [-28.92430, -19.50230, 6.96507], [-28.37436, -20.48703, 7.77746], [-29.02532, -20.62504, 9.06269], [-28.79812, -18.37826, 4.77532], [-26.08612, -18.77805, 5.18914], [-26.18844, -19.46045, 6.82857], [-26.82216, -17.86586, 6.53523], [-28.12555, -20.28208, 5.15229], [-29.98581, -19.70769, 6.77158], [-28.86244, -18.52541, 7.47696], [-28.85420, -19.70068, 9.64787], [-28.46085, -21.41011, 9.50546], [-30.09657, -20.84670, 8.95362], [-28.86085, -17.46719, 5.23834], [-28.24192, -18.26059, 3.92350], [-22.54897, -17.67482, -2.55202], [-23.05701, -16.74457, -3.60826], [-23.85176, -15.52105, -3.04574], [-24.22046, -14.75724, -4.13906], [-25.01067, -13.65618, -3.70667], [-21.95699, -16.40135, -4.42138], [-21.81348, -17.21928, -1.85599], [-22.11290, -18.53389, -3.10641], [-23.35968, -18.10043, -1.94935], [-23.76019, -17.33935, -4.23385], [-23.30812, -14.96071, -2.30158], [-24.75947, -15.89765, -2.57636], [-25.19781, -13.04114, -4.60239], [-24.47662, -13.04558, -2.97596], [-25.85958, -14.17162, -3.26214], [-21.15575, -16.06860, -3.90663], [-22.18967, -15.66358, -5.08926], [-23.20960, -12.39476, 3.56894], [-21.91277, -11.81948, 2.99622], [-20.72835, -12.81896, 3.12429], [-20.88549, -13.99248, 2.13974], [-21.04677, -13.48137, 0.70329], [-22.23210, -12.49379, 0.56941], [-22.02301, -11.51706, 1.58529], [-22.84777, -10.38196, 1.44821], [-22.18059, -11.81273, -0.78944], [-23.53867, -13.24264, 0.73528], [-21.57486, -10.50316, 3.74612], [-23.16148, -12.34036, 4.67642], [-23.21981, -13.45636, 3.39395], [-24.12629, -11.98354, 3.17594], [-19.80490, -12.26787, 2.94307], [-20.74782, -13.27683, 4.12018], [-21.76872, -14.53010, 2.48899], [-20.02255, -14.62084, 2.25526], [-21.25888, -14.36787, 0.09704], [-20.06696, -13.11579, 0.42479], [-21.33772, -11.14006, -0.92669], [-22.03709, -12.60436, -1.54217], [-23.11491, -11.27062, -0.94732], [-24.40786, -12.60721, 0.96715], [-23.75737, -13.65155, -0.24161], [-23.55292, -14.03012, 1.50055], [-22.45086, -9.82344, 3.81069], [-20.80463, -9.91559, 3.24405], [-21.20628, -10.74702, 4.75965], [-23.74251, -10.70551, 1.61741], [-34.00524, -19.02555, 4.74195], [-33.25398, -20.22454, 4.19022], [-34.24652, -21.30979, 3.63388], [-33.45638, -22.30619, 2.72058], [-32.69765, -21.49227, 1.58861], [-31.67302, -20.48662, 2.11089], [-32.44130, -19.59068, 3.04183], [-31.64307, -18.56297, 3.59889], [-30.51966, -21.20017, 2.80954], [-31.14356, -19.57804, 0.99791], [-32.40132, -20.86720, 5.24595], [-34.83092, -19.29639, 5.40423], [-34.47111, -18.44906, 3.94940], [-33.33928, -18.40457, 5.35025], [-34.54183, -21.89119, 4.49643], [-35.06729, -20.80288, 3.15369], [-34.03788, -23.05675, 2.18345], [-32.74620, -22.92260, 3.27794], [-33.46086, -20.93262, 1.02406], [-32.09654, -22.16388, 0.93027], [-30.09429, -20.53330, 3.56314], [-30.88720, -22.06684, 3.35487], [-29.75071, -21.47730, 2.12202], [-30.76532, -20.19682, 0.18642], [-31.95149, -19.10389, 0.41409], [-30.37881, -18.80889, 1.21978], [-31.48906, -20.29676, 5.47523], [-31.98418, -21.80462, 4.93480], [-33.03662, -21.05200, 6.11213], [-30.89012, -18.93016, 4.07043], [-28.66379, -13.12036, -2.09070], [-29.82712, -14.05073, -1.83278], [-29.66822, -15.27857, -2.69132], [-28.52934, -16.21805, -2.23075], [-28.73713, -16.67043, -0.75964], [-28.85483, -15.40568, 0.13782], [-29.87862, -14.52883, -0.41312], [-30.02864, -13.38751, 0.41181], [-29.29537, -15.76850, 1.55752], [-27.43930, -14.78145, 0.20088], [-31.16788, -13.33434, -2.13071], [-27.73093, -13.71926, -2.18940], [-28.43471, -12.39156, -1.30893], [-28.
*/
## Result
{"formula": "C78H192N12O17", "method": "ωB97M-V/def2-TZVPD", "elements": ["C", "C", "C", "O", "C", "N", "H", "H", "H", "H", "H", "H", "H", "H", "H", "H", "H", "C", "C", "C", "O", "C", "N", "H", "H", "H", "H", "H", "H", "H", "H", "H", "H", "H", "C", "C", "C", "O", "C", "N", "H", "H", "H", "H", "H", "H", "H", "H", "H", "H", "H", "C", "C", "C", "O", "C", "N", "H", "H", "H", "H", "H", "H", "H", "H", "H", "H", "H", "C", "C", "C", "O", "C", "N", "H", "H", "H", "H", "H", "H", "H", "H", "H", "H", "H", "C", "C", "C", "O", "C", "N", "H", "H", "H", "H", "H", "H", "H", "H", "H", "H", "H", "C", "C", "C", "O", "C", "N", "H", "H", "H", "H", "H", "H", "H", "H", "H", "H", "H", "C", "C", "C", "C", "C", "C", "N", "O", "C", "C", "C", "H", "H", "H", "H", "H", "H", "H", "H", "H", "H", "H", "H", "H", "H", "H", "H", "H", "H", "H", "C", "C", "C", "C", "C", "C", "N", "O", "C", "C", "C", "H", "H", "H", "H", "H", "H", "H", "H", "H", "H", "H", "H", "H", "H", "H", "H", "H", "H", "H", "C", "C", "C", "C", "C", "C", "N", "O", "C", "C", "C", "H", "H", "H", "H", "H", "H", "H", "H", "H", "H", "H", "H", "H", "H", "H", "H", "H", "H", "H", "C", "C", "C", "C", "C", "C", "N", "O", "C", "C", "C", "H", "H", "H", "H", "H", "H", "H", "H", "H", "H", "H", "H", "H", "H", "H", "H", "H", "H", "H", "C", "C", "C", "C", "C", "C", "N", "O", "C", "C", "C", "H", "H", "H", "H", "H", "H", "H", "H", "H", "H", "H", "H", "H", "H", "H", "H", "H", "H", "H", "C", "O", "H", "H", "H", "H", "C", "O", "H", "H", "H", "H", "C", "O", "H", "H", "H", "H", "C", "O", "H", "H", "H", "H", "C", "O", "H", "H", "H", "H"], "positions_angstrom": [[-23.30765, -21.59616, -2.39755], [-24.03962, -22.91840, -2.41215], [-23.14324, -24.07153, -1.91840], [-22.04295, -24.45117, -2.71465], [-22.39775, -24.94892, -3.98095], [-25.23019, -22.72480, -1.59055], [-23.91948, -20.83882, -2.91194], [-22.37050, -21.65462, -2.95219], [-23.08885, -21.35516, -1.35451], [-24.47115, -23.22181, -3.37293], [-23.81648, -24.89717, -1.67953], [-22.68076, -23.79143, -0.96786], [-21.48454, -25.42290, -4.31139], [-22.72244, -24.18025, -4.65822], [-23.18755, -25.68048, -3.76227], [-24.99086, -22.59940, -0.62182], [-25.89529, -23.45736, -1.75517], [-21.41726, -23.34915, 1.47339], [-20.81823, -22.22517, 2.32662], [-21.16258, -20.83769, 1.81594], [-20.74163, -20.82388, 0.44523], [-20.80118, -19.50404, -0.10048], [-21.51933, -22.26555, 3.58882], [-21.21354, -24.35545, 1.83118], [-20.99859, -23.29293, 0.46878], [-22.49273, -23.35060, 1.47152], [-19.75340, -22.42130, 2.39217], [-20.65334, -20.02620, 2.36280], [-22.25058, -20.67287, 1.86384], [-20.09184, -18.88463, 0.44971], [-21.80526, -19.10747, 0.07574], [-20.50827, -19.60707, -1.13869], [-21.10634, -21.60480, 4.24058], [-21.34808, -23.14297, 4.02695], [-29.07867, -22.87596, -2.10734], [-28.64237, -21.95718, -3.19997], [-28.50226, -20.52800, -2.72197], [-29.62979, -19.99005, -1.97905], [-30.66355, -19.42778, -2.84888], [-27.44214, -22.50889, -3.81083], [-29.16147, -23.91037, -2.48832], [-30.09519, -22.55805, -1.79613], [-28.44645, -22.90504, -1.19646], [-29.39029, -21.90204, -4.00415], [-28.11464, -19.94082, -3.56522], [-27.68862, -20.58428, -1.99476], [-31.43322, -19.07927, -2.18126], [-30.96336, -20.21999, -3.50115], [-30.20436, -18.59824, -3.40579], [-26.73086, -22.51727, -3.08650], [-27.10208, -21.97799, -4.60754], [-18.93395, -15.70403, 5.11763], [-20.36029, -16.06529, 5.63896], [-20.95698, -17.30978, 4.88510], [-22.28901, -17.45644, 5.38272], [-22.89901, -18.56993, 4.76835], [-20.20200, -16.51008, 7.02578], [-18.99736, -15.42533, 4.06837], [-18.36403, -16.61390, 5.28420], [-18.39200, -14.92992, 5.66009], [-20.95703, -15.17787, 5.62654], [-20.44804, -18.21739, 5.17042], [-20.94850, -17.17747, 3.78553], [-23.84980, -18.86655, 5.18901], [-22.24122, -19.42892, 4.69215], [-23.17187, -18.37488, 3.74296], [-21.08093, -16.87936, 7.39849], [-19.88599, -15.82873, 7.67501], [-27.37264, -19.88636, 1.19478], [-25.88866, -19.84230, 0.91024], [-25.32275, -18.46334, 1.27842], [-23.98125, -18.39485, 0.89815], [-23.40844, -17.15111, 1.15678], [-25.26816, -20.98066, 1.55047], [-27.91860, -19.02780, 0.79577], [-27.57218, -19.95286, 2.28026], [-27.83775, -20.79123, 0.78425], [-25.77982, -20.02943, -0.18172], [-25.42890, -18.23892, 2.36155], [-25.81565, -17.66657, 0.73960], [-23.99094, -16.30301, 0.75775], [-22.39824, -17.11131, 0.73069], [-23.40514, -17.01022, 2.24686], [-24.27942, -21.00296, 1.32431], [-25.28281, -20.81889, 2.55384], [-26.73121, -18.88036, 6.07317], [-28.12021, -19.31466, 5.66225], [-28.92430, -19.50230, 6.96507], [-28.37436, -20.48703, 7.77746], [-29.02532, -20.62504, 9.06269], [-28.79812, -18.37826, 4.77532], [-26.08612, -18.77805, 5.18914], [-26.18844, -19.46045, 6.82857], [-26.82216, -17.86586, 6.53523], [-28.12555, -20.28208, 5.15229], [-29.98581, -19.70769, 6.77158], [-28.86244, -18.52541, 7.47696], [-28.85420, -19.70068, 9.64787], [-28.46085, -21.41011, 9.50546], [-30.09657, -20.84670, 8.95362], [-28.86085, -17.46719, 5.23834], [-28.24192, -18.26059, 3.92350], [-22.54897, -17.67482, -2.55202], [-23.05701, -16.74457, -3.60826], [-23.85176, -15.52105, -3.04574], [-24.22046, -14.75724, -4.13906], [-25.01067, -13.65618, -3.70667], [-21.95699, -16.40135, -4.42138], [-21.81348, -17.21928, -1.85599], [-22.11290, -18.53389, -3.10641], [-23.35968, -18.10043, -1.94935], [-23.76019, -17.33935, -4.23385], [-23.30812, -14.96071, -2.30158], [-24.75947, -15.89765, -2.57636], [-25.19781, -13.04114, -4.60239], [-24.47662, -13.04558, -2.97596], [-25.85958, -14.17162, -3.26214], [-21.15575, -16.06860, -3.90663], [-22.18967, -15.66358, -5.08926], [-23.20960, -12.39476, 3.56894], [-21.91277, -11.81948, 2.99622], [-20.72835, -12.81896, 3.12429], [-20.88549, -13.99248, 2.13974], [-21.04677, -13.48137, 0.70329], [-22.23210, -12.49379, 0.56941], [-22.02301, -11.51706, 1.58529], [-22.84777, -10.38196, 1.44821], [-22.18059, -11.81273, -0.78944], [-23.53867, -13.24264, 0.73528], [-21.57486, -10.50316, 3.74612], [-23.16148, -12.34036, 4.67642], [-23.21981, -13.45636, 3.39395], [-24.12629, -11.98354, 3.17594], [-19.80490, -12.26787, 2.94307], [-20.74782, -13.27683, 4.12018], [-21.76872, -14.53010, 2.48899], [-20.02255, -14.62084, 2.25526], [-21.25888, -14.36787, 0.09704], [-20.06696, -13.11579, 0.42479], [-21.33772, -11.14006, -0.92669], [-22.03709, -12.60436, -1.54217], [-23.11491, -11.27062, -0.94732], [-24.40786, -12.60721, 0.96715], [-23.75737, -13.65155, -0.24161], [-23.55292, -14.03012, 1.50055], [-22.45086, -9.82344, 3.81069], [-20.80463, -9.91559, 3.24405], [-21.20628, -10.74702, 4.75965], [-23.74251, -10.70551, 1.61741], [-34.00524, -19.02555, 4.74195], [-33.25398, -20.22454, 4.19022], [-34.24652, -21.30979, 3.63388], [-33.45638, -22.30619, 2.72058], [-32.69765, -21.49227, 1.58861], [-31.67302, -20.48662, 2.11089], [-32.44130, -19.59068, 3.04183], [-31.64307, -18.56297, 3.59889], [-30.51966, -21.20017, 2.80954], [-31.14356, -19.57804, 0.99791], [-32.40132, -20.86720, 5.24595], [-34.83092, -19.29639, 5.40423], [-34.47111, -18.44906, 3.94940], [-33.33928, -18.40457, 5.35025], [-34.54183, -21.89119, 4.49643], [-35.06729, -20.80288, 3.15369], [-34.03788, -23.05675, 2.18345], [-32.74620, -22.92260, 3.27794], [-33.46086, -20.93262, 1.02406], [-32.09654, -22.16388, 0.93027], [-30.09429, -20.53330, 3.56314], [-30.88720, -22.06684, 3.35487], [-29.75071, -21.47730, 2.12202], [-30.76532, -20.19682, 0.18642], [-31.95149, -19.10389, 0.41409], [-30.37881, -18.80889, 1.21978], [-31.48906, -20.29676, 5.47523], [-31.98418, -21.80462, 4.93480], [-33.03662, -21.05200, 6.11213], [-30.89012, -18.93016, 4.07043], [-28.66379, -13.12036, -2.09070], [-29.82712, -14.05073, -1.83278], [-29.66822, -15.27857, -2.69132], [-28.52934, -16.21805, -2.23075], [-28.73713, -16.67043, -0.75964], [-28.85483, -15.40568, 0.13782], [-29.87862, -14.52883, -0.41312], [-30.02864, -13.38751, 0.41181], [-29.29537, -15.76850, 1.55752], [-27.43930, -14.78145, 0.20088], [-31.16788, -13.33434, -2.13071], [-27.73093, -13.71926, -2.18940], [-28.43471, -12.39156, -1.30893], [-28.